ESO218, 03-04 II Sem, Assignment 7

(Not to be submitted)

1.Steady state temperature distribution in a rectangular plate is governed by the Laplace equation , subject to the boundary conditions T(0,y) = T(1,y) = T(x,0) =0 and T(x,1) = sin x. The exact solution of the problem is given by . Develop a computer code for the numerical solution of the problem using central difference approximations and graphically compare the numerical solution with the exact solution at x = 0.5 for x = y = 0.1.

2.Consider the heat equation:

These calculated molecules were left in the text by mistake:
┌──
# C10H5ClO2

The molecule C10H5ClO2 (wB97M-V/def2-TZVPD, the OMol25 dataset).

Properties
Largest force on an atom in eV/A: 1.20
HOMO level in eV: -9.8223
LUMO level in eV: -1.0
SMILES: O=C1C=CC(=O)c2cc(Cl)ccc21
DFT total energy in eV: -27067.833

Geometry as ORCA input:
```
! RIJCOSX wB97M-V def2-TZVPD def2/J DEFGRID3
* xyz 0 1
O 1.26 -2.62 -0.73
C 1.18 -1.53 -0.20
C 2.38 -0.83 0.39
C 2.49 0.48 0.23
C 1.39 1.23 -0.49
O 1.59 2.18 -1.21
C 0.01 0.65 -0.26
C -1.10 1.44 -0.18
C -2.31 0.85 0.07
Cl -3.73 1.86 0.16
C -2.43 -0.50 0.22
C -1.32 -1.30 0.13
C -0.10 -0.73 -0.11
H 3.15 -1.37 0.93
H 3.34 1.00 0.66
H -1.00 2.52 -0.32
H -3.40 -0.95 0.43
H -1.38 -2.38 0.26
*
```


Record 1
Molecular formula: C13H14Cl2CoNO5SSe2
Method: DFT, ωB97M-V/def2-TZVPD

Structure (XYZ):
```
39
Properties=species:S:1:pos:R:3:mulliken_charge:R:1
Co -0.656 -0.041 -0.107 0.290
C -0.656 0.442 -3.314 -0.921
Se 0.569 -0.491 -2.136 0.235
C 0.053 -2.317 -2.621 -0.872
C -1.141 -2.787 -1.814 -0.690
Se -0.738 -2.552 0.075 0.159
C -2.339 -3.362 0.797 -1.038
H -0.323 0.295 -4.338 0.403
H -0.603 1.487 -3.025 0.290
H -1.662 0.071 -3.143 0.286
H 0.925 -2.946 -2.452 0.394
H -0.162 -2.305 -3.689 0.472
H -1.345 -3.844 -1.985 0.521
H -2.034 -2.195 -2.013 0.320
H -2.252 -4.436 0.651 0.381
H -3.206 -2.929 0.310 0.360
H -2.379 -3.112 1.853 0.353
Cl 0.484 4.577 -1.175 -0.220
C 1.201 3.522 -0.013 0.327
C 2.244 3.993 0.801 -0.592
C 2.836 3.186 1.731 0.605
Cl 4.114 3.809 2.729 -0.262
C 2.416 1.846 1.888 -0.324
C 2.932 0.922 2.821 -0.610
C 2.417 -0.342 2.872 -1.039
C 1.393 -0.713 1.986 0.091
N 0.901 0.117 1.096 0.425
C 1.381 1.394 1.049 0.466
C 0.735 2.226 0.097 0.363
O -0.230 1.716 -0.618 -0.536
H 2.571 5.017 0.686 0.460
H 3.723 1.230 3.492 0.436
H 2.782 -1.068 3.584 0.422
H 0.984 -1.714 2.013 0.290
O -3.916 1.442 0.297 -0.646
S -3.100 0.279 0.413 1.256
O -2.351 -0.027 -0.923 -0.644
O -3.752 -0.921 0.880 -0.710
O -1.816 0.530 1.243 -0.500
```

Summary:
**HOMO-LUMO gap**: 0.2722 Ha
**F_max**: 0.5 eV/A
**Total charge**: 0

Record 2
Molecular formula: C14H14F6N3O4RbS3Se2
Method: DFT, ωB97M-V/def2-TZVPD

Structure (XYZ):
```
47
Properties=species:S:1:pos:R:3:mulliken_charge:R:1
Rb 0.078 -0.364 0.306 1.090
F 2.110 -0.987 4.376 -0.222
C 1.580 -1.842 3.506 0.732
F 2.224 -1.707 2.342 -0.190
F 1.749 -3.076 3.954 -0.222
S -0.196 -1.449 3.299 0.967
O -0.216 -0.087 2.793 -0.746
O -0.799 -1.737 4.561 -0.580
N -0.499 -2.492 2.118 -0.580
S -1.897 -2.498 1.367 1.155
O -1.704 -2.392 -0.068 -0.670
O -2.897 -1.659 1.971 -0.634
C -2.471 -4.220 1.624 0.454
F -2.643 -4.442 2.920 -0.209
F -1.607 -5.104 1.144 -0.209
F -3.635 -4.377 0.996 -0.208
Se 3.555 -0.688 -2.459 -0.033
Se 2.437 1.088 -3.488 -0.039
C 0.705 0.290 -3.756 0.120
C 0.210 0.331 -5.054 -0.497
C -1.051 -0.189 -5.300 -0.311
C -1.756 -0.750 -4.250 -0.876
C -1.172 -0.740 -2.993 -0.113
N 0.027 -0.217 -2.736 0.159
C 3.865 0.053 -0.700 0.296
C 5.116 -0.202 -0.147 -0.622
C 5.382 0.265 1.128 -0.325
C 4.404 0.985 1.798 -0.625
C 3.197 1.187 1.152 -0.281
└──
The calculated molecules stop here:

0 x 1; t  0

with initial condition T(x,0) = sin x and boundary conditions T(0,t) = T(1,t) = 0.

a)Write a computer program to solve the equation using Euler explicit-Central difference approximations. For  = 1, x = 0.05 and t = 0.001, plot T(x) vs. x at t = 0.0, 0.5, 1.0, 1.5 and 2.0 in one graph.

b)Take t = 0.0015 (and same and x as in (a)) and plot T(x) vs. x at t = 0.0, 0.15, 0.153, 0.1545 and 0.156 in another graph.

c)Explain the results obtained in (a) and (b).

ESO218, 03-04 II Sem, List of Formulae to be memorized for End-sem

List of Formulae which you are expected to memorize for the End-sem (If a question is asked involving some other formula, that formula will be given in the question paper):

**Quantum chemistry results that have nothing to do with the article**
- - -
one | Entry from the Open Molecules 2025 dataset: a 3-piece molecular cluster, C23H45N5O2 overall (ωB97M-V/def2-TZVPD).

```
! wB97M-V def2-TZVPD RIJCOSX def2/J DEFGRID3
* xyz 0 1
O 0.834 -0.261 3.280
O 3.395 1.493 6.352
N -1.219 0.624 3.400
N 5.388 0.539 5.987
N -3.487 1.021 0.927
N -2.686 -0.476 -3.384
N -6.038 -0.377 -3.335
C 0.035 0.439 3.888
C -3.605 -0.294 -2.275
C 3.050 -1.764 -2.422
C 1.449 0.820 -2.238
C -4.986 -0.339 -2.875
C 2.622 -0.962 -3.678
C -3.596 -1.400 -1.191
C -3.436 1.179 -0.210
C -3.463 1.170 -1.689
C 0.390 1.124 5.185
C -2.306 1.407 3.956
C 6.719 0.416 5.424
C -2.560 -2.607 0.720
C 4.885 2.683 4.907
C -1.245 -2.471 -1.398
C -0.902 1.517 -1.665
C -2.245 -1.697 -0.514
C 0.273 1.725 -2.658
C 2.439 0.541 -3.413
C -1.676 -1.920 -5.052
C -2.978 -1.561 -4.306
C -2.259 1.960 -2.246
C 4.485 1.537 5.805
H -0.550 -1.758 -1.860
H 2.344 -2.576 -2.249
H 2.022 1.002 -4.309
H -2.581 -3.638 0.359
H -2.601 2.168 3.234
H -0.265 0.779 5.987
H -0.085 1.381 -3.633
H 4.008 -2.249 -2.616
H -1.390 0.141 2.532
H -2.278 1.979 -3.332
H -2.425 2.998 -1.938
H -3.162 0.756 4.137
H -3.920 -2.331 -1.668
H 6.955 1.263 4.790
H -2.026 1.887 4.888
H -1.275 -0.994 -5.469
H 1.729 -1.394 -4.132
H -1.725 -0.490 -3.080
H -0.727 2.103 -0.763
H 3.171 -1.150 -1.533
H 1.415 0.886 5.446
H -0.619 -3.093 -0.759
H -3.687 -1.242 -5.073
H 5.092 2.324 3.899
H 7.456 0.361 6.227
H 4.064 3.391 4.863
H -1.735 -3.048 -2.178
H -0.925 0.451 -1.443
H 1.089 -0.141 -1.870
H -0.947 -2.271 -4.318
H -1.843 -2.663 -5.824
H 6.784 -0.497 4.829
H 1.996 1.317 -1.436
H 5.766 3.191 5.302
H -4.343 1.746 -1.977
H 3.426 -1.045 -4.412
H 5.057 -0.194 6.594
H 0.572 2.770 -2.678
H 0.301 2.206 5.080
H 3.409 0.963 -3.151
H -4.352 -1.193 -0.436
H -3.529 -2.385 1.163
H -1.797 -0.799 -0.090
H -1.755 -2.518 1.448
H -3.394 -2.456 -3.834
*
```

Molecular weight ... 423.6 g/mol
Orbital gap ... 9.70 eV
Structure (SMILES) ... CCCCCCC[C@H](C#N)[C@](C#N)(CC(C)C)NCC.CNC(C)=O.CNC(C)=O
LUMO level ... 0.0275 Ha

=====

two | Entry from the Open Molecules 2025 dataset: a 3-piece molecular cluster, C23H45N5O2 overall (ωB97M-V/def2-TZVPD).

```
! wB97M-V def2-TZVPD RIJCOSX def2/J DEFGRID3
* xyz 0 1
O 4.541 -0.136 -0.355
O 4.406 0.949 -2.328
N -2.143 -2.149 -2.711
N 7.512 -2.527 3.550
N 3.403 -2.995 4.021
N 3.361 1.658 2.390
N -3.468 2.447 2.262
C -2.915 -1.820 -1.526
C -5.390 1.411 1.104
C -4.736 2.689 1.604
C -2.966 3.598 2.990
C 1.906 -1.045 -1.239
C -3.390 -4.156 -3.700
C -2.311 -1.256 -3.842
C 6.356 -0.399 1.104
C 5.715 -1.478 1.983
C 3.909 -2.123 3.451
C 6.685 -2.013 2.908
C -2.070 2.272 0.121
C 4.702 0.170 3.677
C 4.447 1.470 2.996
C -2.030 0.202 -3.510
C 3.166 -1.084 -2.100
C -2.489 1.707 1.484
C 5.908 -0.546 -0.320
C 4.463 -1.000 2.722
C -2.593 4.853 2.192
C 4.088 0.000 -1.656
C -2.122 -3.552 -3.087
C -4.440 -1.718 -1.655
H 1.381 -1.984 -1.265
H -2.062 0.799 -4.422
H -1.661 4.726 1.643
H -4.648 3.393 0.761
H 7.430 -0.451 1.134
H -1.303 -3.684 -3.802
H 1.204 -0.283 -1.534
H -3.373 5.140 1.486
- - -
**Back to the article**

  1. Numerical Errors: Expressions for true and approximate errors, Taylor series
  2. Roots of equations: Bisection, False-position, Fixed-point iteration, Newton-Raphson, Secant method, Modified secant method,Muller’s method
  3. Linear algebraic equations: Gauss elimination, Gauss Jordan, LU decomposition, Thomas, Cholesky, Gauss-Seidel
  4. Analysis of experimental data: Curve Fitting: Linear and polynomial regression, Newton divided difference and Lagrange interpolation, Quadratic spline, Legendre, Gram’s, and Tchebycheff polynomials up to order 3, Fourier series.
  5. Numerical differentiation and integration: Newton-Cotes closed formula and their errors for 1 and 2 segments (Trapezoidal and Simpson’s 1/3), Newton-Cotes open formula and their errors for 2 and 3 segments (1 and 2 points), Romberg integration, Gauss quadrature weights and abscissa for 2 and 3 points. First and second derivatives using forward, backward, and central difference of the lowest order (h for forward and backward and h2 for central), Richardson extrapolation.
  6. Ordinary differential equations:
  7. Initial Value Problems (IVP): Euler’s, Improved Euler, and Modified Euler, Second, Third, and Fourth order R-K method, Non-self-starting Heun’s method, Adams-Bashforth for order 1 and 2, Adams-Moulton for order 2 and 3.
  8. Boundary Value Problems (BVP)
  9. Eigenvalue Problems: Fadeev-LeVerrier method, Power and Inverse power method.
  10. Partial Differential Equations: Finite difference method: Explicit, Implicit, Crank-Nicolson, and ADI methods.